**Wanted**
What is needed: type out every line underneath that contains the word "from".
**Entries**
-- begin --
No. 1
Material: CrAgAu2
Method: DFT, SCAN
State: PBEsol geometry

Lattice parameters (Å, degrees): 4.529 4.529 4.529 60.00 60.00 60.00
Positions (direct):
1 Ag 0.500 0.500 0.500
2 Au 0.000 0.000 0.000
3 Au 0.250 0.250 0.250
4 Cr 0.750 0.750 0.750

Summary:
ΔH_f (0 K)	-34	meV per atom
crystal system	cubic
SG	F-43m, No. 216

=====

No. 2
Material: AlMoRu
Method: DFT, SCAN
State: PBEsol geometry

Lattice parameters (Å, degrees): 2.762 4.224 4.224 120.00 90.00 90.00
Positions (direct):
1 Ru 0.312 0.667 0.333
2 Mo 0.638 0.333 0.667
3 Al 0.049 0.000 0.000

Summary:
ΔH_f (0 K)	-282	meV per atom
crystal system	trigonal
SG	P3m1, No. 156

=====

No. 3
Material: SrAlCd2
Method: DFT, SCAN
State: PBEsol geometry

Lattice parameters (Å, degrees): 4.662 4.662 6.273 68.19 68.19 60.00
Positions (direct):
1 Sr 0.491 0.491 0.526
2 Al 0.695 0.695 0.914
3 Cd 0.021 0.021 0.937
4 Cd 0.281 0.281 0.157

Summary:
ΔH_f (0 K)	-228	meV per atom
crystal system	trigonal
SG	R3m, No. 160

=====

No. 4
Material: Li2FeW
Method: DFT, SCAN
State: PBEsol geometry

Lattice parameters (Å, degrees): 2.907 3.826 4.620 90.00 90.00 90.00
Positions (direct):
1 Fe 0.000 0.500 0.500
2 Li 0.000 0.000 0.000
3 Li 0.500 0.500 0.000
4 W 0.500 0.000 0.500

Summary:
ΔH_f (0 K)	484	meV per atom
crystal system	orthorhombic
SG	Pmmm, No. 47
offset from the most stable computed form	0	meV per atom

=====

No. 5
Material: GaAs2F
Method: DFT, SCAN
State: PBEsol geometry

Lattice parameters (Å, degrees): 3.732 3.732 10.274 100.47 100.47 90.00
Positions (direct):
1 As 0.846 0.375 0.250
2 As 0.404 0.875 0.250
3 As 0.625 0.596 0.750
4 As 0.125 0.154 0.750
5 Ga 0.250 0.750 0.500
6 Ga 0.000 0.000 0.000
7 F 0.750 0.250 0.500
8 F 0.500 0.500 0.000

Summary:
crystal system	tetragonal
SG	I-42d, No. 122
offset from the most stable computed form	0	meV per atom
uncorrected formation energy	-1.653	eV per formula unit

=====

No. 6
Material: Mg2ScFeC
Method: DFT, SCAN
State: PBEsol geometry

Lattice parameters (Å, degrees): 3.780 4.425 4.425 90.00 90.00 90.00
Positions (direct):
1 Sc 0.500 0.500 0.500
2 C 0.000 0.000 0.000
3 Mg 0.000 0.000 0.500
4 Mg 0.000 0.500 0.000
5 Fe 0.500 0.000 0.000

Summary:
ΔH_f (0 K)	258	meV per atom
crystal system	tetragonal
SG	P4/mmm, No. 123

=====

No. 7
Material: KLiSi2
Method: DFT, SCAN
State: PBEsol geometry

Lattice parameters (Å, degrees): 4.839 4.839 4.839 60.00 60.00 60.00
Positions (direct):
1 K 0.500 0.500 0.500
2 Si 0.000 0.000 0.000
3 Si 0.750 0.750 0.750
4 Li 0.250 0.250 0.250

Summary:
crystal system	cubic
SG	F-43m, No. 216
offset from the most stable computed form	479	meV per atom
uncorrected formation energy	2.022	eV per formula unit

=====

No. 8
Material: KYP2O7
Method: DFT, SCAN
State: PBEsol geometry

Lattice parameters (Å, degrees): 7.603 8.634 10.959 90.00 90.00 107.82
Positions (direct):
1 K 0.831 0.425 0.181
2 K 0.831 0.925 0.319
3 K 0.169 0.075 0.681
4 K 0.169 0.575 0.819
5 Y 0.232 0.751 0.406
6 Y 0.768 0.749 0.906
7 Y 0.232 0.251 0.094
8 Y 0.768 0.249 0.594
9 P 0.871 0.190 0.896
10 P 0.129 0.310 0.396
11 P 0.871 0.690 0.604
12 P 0.129 0.810 0.104
13 P 0.555 0.806 0.645
14 P 0.445 0.694 0.145
15 P 0.445 0.194 0.355
16 P 0.555 0.306 0.855
17 O 0.364 0.256 0.914
18 O 0.869 0.015 0.902
19 O 0.069 0.234 0.270
20 O 0.931 0.266 0.770
21 O 0.869 0.515 0.598
-- stop --
**Completed**
offset from the most stable computed form	0	meV per atom
offset from the most stable computed form	0	meV per atom
offset from the most stable computed form	479	meV per atom